Material.
/*
Mn3Tl3WO8: simulated powder X-ray diffraction pattern (λ = 1.5418 Å (Cu Kα)), based on a crystal structure in Alexandria, relaxed with PBE+U.

Top 10 peaks for 10° ≤ 2θ ≤ 90°, most intense first:
Position (°2θ)  I_rel
36.97  100
33.30  84
16.47  77
27.19  55
49.34  37
30.86  33
64.30  31
57.03  29
57.24  25
69.93  14

Cell and atoms:
```
data_Mn3Tl3WO8
_cell_length_a 11.1856
_cell_length_b 6.4612
_cell_length_c 7.5480
_cell_angle_alpha 90.00
_cell_angle_beta 119.65
_cell_angle_gamma 90.00
_space_group_name_H-M_alt 'C 1 2/m 1'
_space_group_IT_number 12
loop_
_space_group_symop_operation_xyz
'x,y,z'
'-x,-y,-z'
'-x,y,-z'
'x,-y,z'
'x+1/2,y+1/2,z'
'-x+1/2,-y+1/2,-z'
'-x+1/2,y+1/2,-z'
'x+1/2,-y+1/2,z'
loop_
_atom_site_label
_atom_site_type_symbol
_atom_site_fract_x
_atom_site_fract_y
_atom_site_fract_z
Mn1 Mn 0.0000 0.0000 0.0000
Mn2 Mn 0.2500 0.2500 0.0000
Tl1 Tl 0.0000 0.5000 0.5000
Tl2 Tl 0.2500 0.2500 0.5000
W1 W 0.0000 0.5000 0.0000
O1 O 0.0186 0.2794 0.8343
O2 O 0.2025 0.5000 0.1666
O3 O 0.2120 0.0000 0.1336
```
*/

Brief.
Could you start at the top of the entries above and reproduce each line, ending with the one that has "Tl2 Tl"?

Result.
Mn3Tl3WO8: simulated powder X-ray diffraction pattern (λ = 1.5418 Å (Cu Kα)), based on a crystal structure in Alexandria, relaxed with PBE+U.

Top 10 peaks for 10° ≤ 2θ ≤ 90°, most intense first:
Position (°2θ)  I_rel
36.97  100
33.30  84
16.47  77
27.19  55
49.34  37
30.86  33
64.30  31
57.03  29
57.24  25
69.93  14

Cell and atoms:
```
data_Mn3Tl3WO8
_cell_length_a 11.1856
_cell_length_b 6.4612
_cell_length_c 7.5480
_cell_angle_alpha 90.00
_cell_angle_beta 119.65
_cell_angle_gamma 90.00
_space_group_name_H-M_alt 'C 1 2/m 1'
_space_group_IT_number 12
loop_
_space_group_symop_operation_xyz
'x,y,z'
'-x,-y,-z'
'-x,y,-z'
'x,-y,z'
'x+1/2,y+1/2,z'
'-x+1/2,-y+1/2,-z'
'-x+1/2,y+1/2,-z'
'x+1/2,-y+1/2,z'
loop_
_atom_site_label
_atom_site_type_symbol
_atom_site_fract_x
_atom_site_fract_y
_atom_site_fract_z
Mn1 Mn 0.0000 0.0000 0.0000
Mn2 Mn 0.2500 0.2500 0.0000
Tl1 Tl 0.0000 0.5000 0.5000
Tl2 Tl 0.2500 0.2500 0.5000